How to Make a Better Life for Yourself by Moving Abroad

People move abroad for various reasons. These reasons include wanting to be closer to family or having a great job opportunity in a new country. However, many people also move abroad in the hopes of creating a better life for themselves. 

Sometimes, they may live in a dangerous country, or one with very few opportunities, and they want to change that. And some people may just want a fresh start. If you’re considering moving abroad to make a better life for yourself, there are a few key things that you should know. Keep reading to find out what they are. 

Do it the right way

If you’re desperate to move abroad, you may feel tempted to do anything possible to get there, even if it’s not the right way of doing things. As tempting as it may be, that’s never a good idea. 

Many schemes will try to convince you that they can help you move abroad without anyone knowing, but this can be very dangerous. Rather go through the proper pathways, even if it may cost you more money or take a bit longer.

DFT (wB97M-V/def2-TZVPD) results for a structure of composition C66H49AsInOP2S.

Structure (XYZ):
```
121
Properties=species:S:1:pos:R:3:forces:R:3:mulliken_charge:R:1
In 0.35602 0.28803 0.42028 -0.14 -0.61 -0.50 1.257
O 3.11795 0.98589 -2.07143 -0.21 -0.14 -0.33 -0.724
S 1.88351 0.18832 -2.00476 0.51 0.30 0.56 1.783
C 0.59590 0.90758 -2.96845 -0.24 -0.02 0.05 0.249
C 0.44306 0.58518 -4.30940 0.05 0.06 -0.01 -0.323
C -0.63920 1.03409 -5.07457 0.03 -0.03 0.03 -1.247
C -1.62601 1.74145 -4.43332 -0.02 0.04 -0.04 0.519
C -2.95486 2.24752 -4.92657 0.00 -0.02 0.03 -0.751
C -3.59111 2.94161 -3.69611 0.02 -0.05 -0.01 -0.884
C -2.63005 2.69223 -2.57148 -0.03 0.03 -0.04 0.492
C -2.73213 2.93343 -1.22281 0.01 -0.01 0.09 -1.537
C -1.62047 2.65019 -0.42867 -0.10 0.07 -0.09 -0.327
C -0.37522 2.17198 -0.91175 0.05 -0.48 0.18 -0.239
P 0.79897 2.91589 0.38410 0.53 0.68 0.28 1.102
C 1.05305 4.62667 -0.14299 -0.27 -0.09 -0.26 0.824
C 1.35613 4.93794 -1.47022 -0.10 0.04 -0.01 -0.242
C 1.59228 6.25451 -1.82628 0.01 0.03 0.01 -1.017
C 1.51851 7.25825 -0.86542 0.00 0.00 -0.03 -0.647
C 1.19888 6.95009 0.44743 0.00 -0.02 0.02 -0.743
C 0.95961 5.63172 0.81354 0.05 0.01 0.05 -0.736
C 2.49863 2.26205 0.46717 0.15 0.06 0.06 0.634
C 2.76377 1.48131 1.60871 -0.03 -0.16 -0.18 -0.197
C 4.05662 1.08106 1.93122 -0.04 -0.05 -0.01 -1.102
C 5.10937 1.51103 1.14637 0.06 0.06 -0.05 -0.687
C 4.87553 2.33808 0.04685 0.06 -0.03 0.10 -0.779
C 3.59298 2.70789 -0.29243 -0.21 0.11 0.11 -0.597
C -0.34989 1.72083 -2.29499 0.09 0.17 -0.24 0.148
C -1.47423 2.05420 -3.06870 0.08 0.08 -0.07 0.033
C 2.19580 -1.33844 -2.83555 -0.09 -0.11 -0.03 -0.130
C 3.38567 -1.35130 -3.53987 -0.06 -0.06 0.01 -0.411
C 3.70769 -2.37598 -4.44461 0.07 0.06 0.01 -1.355
C 2.78498 -3.36368 -4.65138 0.00 -0.05 -0.03 0.275
C 2.79210 -4.53877 -5.59210 -0.01 0.01 -0.01 -0.811
C 1.48561 -5.31003 -5.27779 0.00 0.03 0.02 -0.871
C 0.79241 -4.48016 -4.23062 0.05 -0.01 -0.05 0.117
C -0.40903 -4.64337 -3.59898 -0.08 -0.01 0.05 -1.244
C -0.75521 -3.72734 -2.59447 0.04 -0.01 -0.04 0.017
C 0.03663 -2.64663 -2.22219 -0.10 -0.03 -0.02 0.346
P -0.46165 -1.95534 -0.61625 -0.20 -0.15 -0.38 0.466
C 0.33038 -3.03702 0.59718 0.03 0.08 0.15 1.222
C -0.25573 -4.02277 1.38496 0.02 -0.07 -0.09 -0.437
C 0.53027 -4.77241 2.24974 0.04 -0.02 -0.03 -0.817
C 1.89497 -4.54425 2.34193 0.00 -0.02 0.02 -0.804
C 2.48891 -3.55694 1.56512 -0.01 0.01 0.00 -0.995
C 1.70988 -2.80584 0.70020 -0.01 0.01 0.08 -0.294
C -2.27459 -1.91879 -0.68566 0.05 0.13 0.19 0.616
C -3.17237 -2.83199 -0.13871 0.02 -0.13 -0.01 -0.310
C -4.53814 -2.66528 -0.32493 0.02 -0.01 0.01 -1.030
C -5.02337 -1.58761 -1.05015 0.03 0.02 -0.02 -0.998
C -4.13372 -0.67763 -1.60806 -0.04 -0.02 -0.01 -0.644
C -2.77161 -0.84327 -1.42803 -0.02 0.04 0.05 0.059
C 1.24963 -2.40327 -2.93167 0.10 0.01 0.04 -1.375
C 1.59072 -3.36853 -3.89835 -0.02 0.03 0.05 1.160
H 1.18912 -0.04294 -4.78085 0.00 -0.01 0.01 0.619
H -0.70120 0.78191 -6.12464 -0.01 -0.01 0.01 0.527
## The calculated molecules stop here

On top of that, anything can happen while moving abroad, so it’s a good idea to take necessary precautions such as getting global medical insurance or making multiple copies of any necessary documents. 

Don’t do it alone

Moving abroad is often a very challenging thing for someone to go through, and many people find that their mental health can be negatively affected by this change. That’s why it’s so important to have a support system in place, and not go through it alone.

Even if you will be making the move by yourself, you can still lean on your loved ones for support, even if that means video calling them every day until the homesickness fades. 

== Molecular data, kept here for reference ==
~~~
{
  "formula": "C2H5ClNOP",
  "method": "wB97M-V/def2-TZVPD",
  "total_charge": 0,
  "smiles": "ClP1CCON1",
  "e_tot_ev": -27502.9791,
  "gap_ha": 0.362,
  "e_above_lowest_kcal_mol": 42.0,
  "lumo_energy_ev": 0.976,
  "species": ["Cl", "P", "C", "C", "O", "N", "H", "H", "H", "H", "H"],
  "coordinates": [[-2.514371, 0.610559, 0.483732], [-1.296378, -0.230072, -0.885569], [0.215842, 0.843424, -0.636873], [0.902940, 0.199756, 0.570264], [0.774895, -1.187491, 0.422570], [-0.608425, -1.435977, 0.150092], [-0.052823, 1.886663, -0.477046], [0.839108, 0.763324, -1.530176], [1.973492, 0.402022, 0.610752], [0.422989, 0.532156, 1.500577], [-0.657268, -2.384364, -0.208326]],
  "forces_ev_per_angstrom": [[-0.850, 0.742, 0.689], [0.928, -0.215, -0.355], [-0.149, -0.347, -0.015], [-0.189, 0.449, 0.027], [0.248, -0.501, 0.037], [-0.065, -0.156, -0.268], [-0.071, -0.069, -0.038], [-0.028, -0.017, 0.020], [-0.071, -0.010, 0.000], [0.064, -0.018, -0.077], [0.183, 0.143, -0.020]],
  "mulliken_charge": [-0.23, 0.17, -0.68, -0.27, -0.27, -0.30, 0.37, 0.34, 0.30, 0.27, 0.27]
}

* * * * *

DFT (ωB97M-V with the def2-TZVPD basis set) results for 4 unconnected molecules or ions with the total composition C27H54BBrCl2F3N4O11.

XYZ file:
```
103
Properties=species:S:1:pos:R:3:mulliken_charge:R:1
C -0.30754 0.93723 -1.57092 -1.201
B -0.01151 2.04569 -0.53305 0.817
O 0.93584 1.91535 0.40779 -0.244
N -0.73072 3.42571 -0.57409 0.612
C -1.94289 3.92171 -0.23204 0.330
N -2.91564 3.23488 0.37144 0.431
C -2.69628 1.82128 0.68719 -0.890
C -3.96410 1.11475 1.15083 0.016
O -4.24953 1.44116 2.48340 -0.565
C -3.75190 -0.40074 1.08247 0.584
F -3.32694 -0.75389 -0.16361 -0.248
F -2.78724 -0.79296 1.94408 -0.243
F -4.88208 -1.07146 1.34788 -0.260
C -4.13156 3.92694 0.62246 -0.764
Cl -4.23573 4.81127 2.09776 -0.130
C -5.10869 3.95799 -0.27945 0.957
C -6.37646 4.74036 -0.19067 -1.353
Cl -4.86920 3.01119 -1.71454 -0.115
N -2.04308 5.23362 -0.53198 -0.497
C -0.88952 5.55685 -1.05520 -0.382
N -0.05560 4.52067 -1.08698 -0.406
Br 1.59623 4.38588 -1.84949 0.123
H -0.96081 1.23734 -2.39290 0.376
H -0.73539 0.05133 -1.08496 0.447
H 0.64826 0.60093 -1.99098 0.387
H 1.08643 2.65738 1.00511 0.268
H -2.33224 1.32302 -0.21322 0.303
H -1.95198 1.72926 1.48959 0.354
H -4.80348 1.32778 0.47795 0.281
H -5.04097 1.98192 2.56172 0.422
H -6.16916 5.80597 -0.33565 0.296
H -7.08769 4.42269 -0.94974 0.421
H -6.83040 4.62480 0.79724 0.380
H -0.60789 6.52760 -1.43829 0.463
C 2.62266 -2.73389 1.61589 -0.837
O 3.17778 -2.18163 0.44187 -0.420
C 2.85985 -0.83166 0.20533 -0.180
C 4.06222 -0.01589 -0.21407 -0.321
O 5.00174 0.20407 0.81577 -0.423
C 5.89850 -0.84875 1.14015 -0.282
C 7.04067 -1.01677 0.16652 -0.567
O 6.59913 -1.52785 -1.07513 -0.317
C 7.20708 -0.95039 -2.20686 -0.755
H 1.57091 -3.00947 1.47400 0.425
H 3.18764 -3.63069 1.86120 0.322
H 2.69745 -2.03922 2.45882 0.377
H 2.40478 -0.37403 1.09129 0.228
H 2.12667 -0.77181 -0.61498 0.142
H 3.68194 0.98297 -0.45694 0.269
H 4.51701 -0.43803 -1.11298 0.189
~~~

Try and have a job before you go

There are a few countries that will allow you to move there even if you don’t have a job, but most countries require that you have a job before you move there. While this may feel frustrating, it’s for your own good.

Misplaced calculated molecules:
~~~
Formula: C51H57AsN3OPTi
Source: the OMol25 dataset
Level of theory: ωB97M-V/def2-TZVPD

**Largest force on an atom**: 4.324 eV/A
**LUMO energy (alpha / beta)**: -0.17675 / -0.19258 hartree
**Gap between HOMO and LUMO (alpha / beta)**: 7.0 / 6.7 eV
**Charge**: +2
**2S+1**: 3
**Energy relative to the best compared isomer or geometry (same formula, charge and spin)**: 0.599 eV
**Expectation value of S²**: 2.01

The geometry in XYZ format:
```
115
C51H57AsN3OPTi | the OMol25 dataset | ωB97M-V/def2-TZVPD
Ti -0.40 0.10 0.24
C -0.96 -2.73 -1.65
C -1.53 -1.46 -1.07
C -1.75 -0.32 -1.88
C -1.55 -0.36 -3.38
C -2.27 0.85 -1.31
C -2.69 1.99 -2.21
C -2.62 0.87 0.07
C -3.37 2.06 0.60
C -2.64 -0.34 0.81
C -3.45 -0.36 2.08
C -2.05 -1.50 0.26
C -2.06 -2.83 0.98
H -1.77 -3.41 -1.93
H -0.33 -3.25 -0.94
H -0.36 -2.53 -2.54
H -0.74 0.31 -3.68
H -2.46 -0.02 -3.87
H -1.33 -1.35 -3.75
H -3.72 1.81 -2.53
H -2.07 2.05 -3.10
H -2.68 2.95 -1.72
H -2.95 3.00 0.25
H -3.38 2.10 1.68
H -4.41 2.00 0.25
H -4.46 -0.02 1.85
H -3.04 0.31 2.83
H -3.53 -1.36 2.51
H -1.08 -3.31 0.94
H -2.78 -3.49 0.51
H -2.33 -2.73 2.03
C 2.60 -1.08 -2.88
C 1.72 -0.65 -1.84
N 1.00 -0.27 -1.02
H 3.52 -0.49 -2.84
H 2.12 -0.93 -3.84
H 2.85 -2.14 -2.77
C 0.78 -4.64 4.29
N 0.43 -3.28 3.98
N 0.91 -2.62 2.87
C 0.19 -1.45 2.73
O 0.37 -0.63 1.77
C -0.73 -1.41 3.79
C -0.58 -2.58 4.51
C -1.41 -3.09 5.63
C 2.16 -2.93 2.28
C 2.28 -2.95 0.89
C 3.50 -3.28 0.33
C 4.59 -3.58 1.12
C 4.47 -3.54 2.50
C 3.26 -3.22 3.08
H 1.33 -5.09 3.46
H -0.12 -5.22 4.47
H 1.41 -4.70 5.19
H -1.43 -0.63 4.00
H -2.07 -2.31 5.98
H -0.80 -3.43 6.46
H -2.01 -3.93 5.29
H 1.43 -2.70 0.27
H 3.60 -3.33 -0.75
H 5.54 -3.85 0.68
H 5.32 -3.76 3.13
H 3.17 -3.18 4.16
C 2.51 2.41 1.67
C 2.39 2.43 3.19
As 3.19 4.07 4.08
C 4.87 4.26 3.08
C 5.37 5.54 2.89
C 6.59 5.74 2.26
C 7.33 4.65 1.82
C 6.85 3.37 2.04
C 5.63 3.18 2.67
C 2.18 5.47 3.13
C 2.46 5.92 1.84
C 1.79 7.01 1.31
C 0.84 7.68 2.06
C 0.55 7.25 3.34
C 1.21 6.15 3.86
P 0.97 2.14 0.67
C 1.50 2.75 -0.97
C 0.50 2.98 -1.91
C 0.81 3.36 -3.20
C 2.14 3.51 -3.57
C 3.14 3.26 -2.65
C 2.83 2.87 -1.36
C -0.18 3.37 1.36
C -0.86 2.96 2.52
C -1.72 3.82 3.16
C -2.00 5.06 2.60
C -1.37 5.45 1.43
C -0.44 4.62 0.82
H 3.21 1.63 1.35
H 2.88 3.38 1.31
H 2.88 1.56 3.63
H 1.36 2.42 3.52
H 4.80 6.40 3.23
H 6.96 6.74 2.10
H 8.28 4.80 1.34
H 7.44 2.52 1.73
H 5.28 2.17 2.86
H 3.23 5.44 1.25
H 2.04 7.35 0.31
~~~

If you arrive in a new country without having secured a job, you may struggle to get one, and this could severely impact your finances. Having a job before making the move is sure to give you a bigger chance of having a better life. If you already have a job as a stay-at-home mom, try to see if you can make that work once you’ve moved. 

Be financially stable

Being financially unstable is a very stressful situation, as is moving abroad. When you combine the two, it can be incredibly overwhelming. 

It is, therefore, a good idea to make sure that you are financially stable before you move abroad, even if this means waiting a year or two extra so that you can save up. While you may want to get there as soon as possible to start your new life, it won’t be a better life if you are constantly under pressure or struggling to pay your bills. 

Make friends

You know what they say – money can’t buy happiness. This means that even if you can get a great job and a lovely house once you’ve moved abroad, you may feel very sad if you don’t have anyone to share your joy with. One of the hardest parts of moving abroad is leaving your loved ones behind. Try to make friends in your new country, so that you don’t feel so alone. 

Give yourself time to adjust

While moving abroad can certainly offer you a better life in many ways, it’s unlikely that this will happen all at once. You can’t arrive in a new country and expect your life to be perfect. You will probably feel stressed and overwhelmed for quite a while before you start settling into your new life.

It’s a good idea to give yourself a few weeks to recover from all the stress and explore your new country before you start working. This way, you will feel much more comfortable than you would if you immediately jumped in headfirst. You’re only human, so don’t be too harsh on yourself, and give yourself time to adjust. 

Grab new opportunities

Most people who move abroad in search of a better life go there in the hopes of having more and better opportunities. However, these opportunities will only help you achieve a better life if you grab them.

While it may be hard to step out of your comfort zone, the life you want to live may require you to do so. The fear of failure often holds people back, and this means that they miss amazing opportunities. Start believing in yourself and saying yes to new opportunities, and your life may just change for the better. 
